### Brief
Your job: copy everything further below character by character.

### Source
____________
1.
Compound: Cs2RbCd2
Source: Alexandria via LeMat-Bulk
Functional: meta-GGA SCAN
Structure: PBEsol geometry

a = 8.7207 Å, b = 8.7207 Å, c = 8.7207 Å
α = 140.35°, β = 140.35°, γ = 57.33°
Sites, in units of the cell vectors:
Cs: 0.2500 0.7500 0.5000
Cs: 0.7500 0.2500 0.5000
Rb: 0.0000 0.0000 0.0000
Cd: 0.4086 0.4086 0.0000
Cd: 0.5914 0.5914 0.0000

Results
As for the energy above the lowest structure with this stoichiometry: 52 meV/atom. The calculation puts the size of the total moment at 0.00 μB per cell. For the energy, the calculation gives -31.41 eV per atom.

2.
Compound: Cs3RbCd
Source: Alexandria via LeMat-Bulk
Functional: meta-GGA SCAN
Structure: PBEsol geometry

a = 7.4849 Å, b = 7.4849 Å, c = 7.4849 Å
α = 90.00°, β = 90.00°, γ = 90.00°
Sites, in units of the cell vectors:
Cs: 0.0000 0.0000 0.5000
Cs: 0.0000 0.5000 0.0000
Cs: 0.5000 0.0000 0.0000
Rb: 0.5000 0.5000 0.5000
Cd: 0.0000 0.0000 0.0000

Results
The calculation puts the size of the total moment at 0.01 μB per cell. For the energy, the calculation gives -32.89 eV per atom.

3.
Compound: CsRbCd3
Source: Alexandria via LeMat-Bulk
Functional: meta-GGA SCAN
Structure: PBEsol geometry

a = 6.4572 Å, b = 6.4572 Å, c = 6.4572 Å
α = 90.00°, β = 90.00°, γ = 90.00°
Sites, in units of the cell vectors:
Cs: 0.0000 0.0000 0.0000
Rb: 0.5000 0.5000 0.5000
Cd: 0.0000 0.5000 0.5000
Cd: 0.5000 0.0000 0.5000
Cd: 0.5000 0.5000 0.0000

Results
The calculation puts the size of the total moment at 0.00 μB per cell. For the energy, the calculation gives -29.63 eV per atom.

4.
Compound: CsRbCd2
Source: Alexandria via LeMat-Bulk
Functional: meta-GGA SCAN
Structure: PBEsol geometry

a = 6.2525 Å, b = 6.2525 Å, c = 6.2525 Å
α = 60.00°, β = 60.00°, γ = 60.00°
Sites, in units of the cell vectors:
Cs: 0.0000 0.0000 0.0000
Rb: 0.5000 0.5000 0.5000
Cd: 0.2500 0.2500 0.2500
Cd: 0.7500 0.7500 0.7500

Results
The calculation puts the size of the total moment at 0.01 μB per cell. For the energy, the calculation gives -29.79 eV per atom.

5.
Compound: Cs2RbCd2
Source: Alexandria via LeMat-Bulk
Functional: meta-GGA SCAN
Structure: PBEsol geometry

a = 9.6999 Å, b = 9.6999 Å, c = 5.6205 Å
α = 90.00°, β = 90.00°, γ = 90.00°
Sites, in units of the cell vectors:
Cs: 0.1740 0.3260 0.0000
Cs: 0.3260 0.8260 0.0000
Cs: 0.6740 0.1740 0.0000
Cs: 0.8260 0.6740 0.0000
Rb: 0.0000 0.0000 0.5000
Rb: 0.5000 0.5000 0.5000
Cd: 0.1075 0.6075 0.5000
Cd: 0.3925 0.1075 0.5000
Cd: 0.6075 0.8925 0.5000
Cd: 0.8925 0.3925 0.5000

Results
As for the energy above the lowest structure with this stoichiometry: 0 meV/atom. The calculation puts the size of the total moment at 0.00 μB per cell. For the energy, the calculation gives -31.46 eV per atom.

6.
Compound: CsCdRu3
Source: Alexandria via LeMat-Bulk
Functional: meta-GGA SCAN
Structure: PBEsol geometry

a = 4.7950 Å, b = 4.7950 Å, c = 4.7950 Å
α = 90.00°, β = 90.00°, γ = 90.00°
Sites, in units of the cell vectors:
Cs: 0.0000 0.0000 0.0000
Cd: 0.5000 0.5000 0.5000
Ru: 0.0000 0.0000 0.5000
Ru: 0.0000 0.5000 0.0000
Ru: 0.5000 0.0000 0.0000

Results
The calculation puts the size of the total moment at 2.76 μB per cell. For the energy, the calculation gives -31.74 eV per atom.

- The highest size of the total moment belongs to which entry?
  CsCdRu3
____________

### Done
1.
Compound: Cs2RbCd2
Source: Alexandria via LeMat-Bulk
Functional: meta-GGA SCAN
Structure: PBEsol geometry

a = 8.7207 Å, b = 8.7207 Å, c = 8.7207 Å
α = 140.35°, β = 140.35°, γ = 57.33°
Sites, in units of the cell vectors:
Cs: 0.2500 0.7500 0.5000
Cs: 0.7500 0.2500 0.5000
Rb: 0.0000 0.0000 0.0000
Cd: 0.4086 0.4086 0.0000
Cd: 0.5914 0.5914 0.0000

Results
As for the energy above the lowest structure with this stoichiometry: 52 meV/atom. The calculation puts the size of the total moment at 0.00 μB per cell. For the energy, the calculation gives -31.41 eV per atom.

2.
Compound: Cs3RbCd
Source: Alexandria via LeMat-Bulk
Functional: meta-GGA SCAN
Structure: PBEsol geometry

a = 7.4849 Å, b = 7.4849 Å, c = 7.4849 Å
α = 90.00°, β = 90.00°, γ = 90.00°
Sites, in units of the cell vectors:
Cs: 0.0000 0.0000 0.5000
Cs: 0.0000 0.5000 0.0000
Cs: 0.5000 0.0000 0.0000
Rb: 0.5000 0.5000 0.5000
Cd: 0.0000 0.0000 0.0000

Results
The calculation puts the size of the total moment at 0.01 μB per cell. For the energy, the calculation gives -32.89 eV per atom.

3.
Compound: CsRbCd3
Source: Alexandria via LeMat-Bulk
Functional: meta-GGA SCAN
Structure: PBEsol geometry

a = 6.4572 Å, b = 6.4572 Å, c = 6.4572 Å
α = 90.00°, β = 90.00°, γ = 90.00°
Sites, in units of the cell vectors:
Cs: 0.0000 0.0000 0.0000
Rb: 0.5000 0.5000 0.5000
Cd: 0.0000 0.5000 0.5000
Cd: 0.5000 0.0000 0.5000
Cd: 0.5000 0.5000 0.0000

Results
The calculation puts the size of the total moment at 0.00 μB per cell. For the energy, the calculation gives -29.63 eV per atom.

4.
Compound: CsRbCd2
Source: Alexandria via LeMat-Bulk
Functional: meta-GGA SCAN
Structure: PBEsol geometry

a = 6.2525 Å, b = 6.2525 Å, c = 6.2525 Å
α = 60.00°, β = 60.00°, γ = 60.00°
Sites, in units of the cell vectors:
Cs: 0.0000 0.0000 0.0000
Rb: 0.5000 0.5000 0.5000
Cd: 0.2500 0.2500 0.2500
Cd: 0.7500 0.7500 0.7500

Results
The calculation puts the size of the total moment at 0.01 μB per cell. For the energy, the calculation gives -29.79 eV per atom.

5.
Compound: Cs2RbCd2
Source: Alexandria via LeMat-Bulk
Functional: meta-GGA SCAN
Structure: PBEsol geometry

a = 9.6999 Å, b = 9.6999 Å, c = 5.6205 Å
α = 90.00°, β = 90.00°, γ = 90.00°
Sites, in units of the cell vectors:
Cs: 0.1740 0.3260 0.0000
Cs: 0.3260 0.8260 0.0000
Cs: 0.6740 0.1740 0.0000
Cs: 0.8260 0.6740 0.0000
Rb: 0.0000 0.0000 0.5000
Rb: 0.5000 0.5000 0.5000
Cd: 0.1075 0.6075 0.5000
Cd: 0.3925 0.1075 0.5000
Cd: 0.6075 0.8925 0.5000
Cd: 0.8925 0.3925 0.5000

Results
As for the energy above the lowest structure with this stoichiometry: 0 meV/atom. The calculation puts the size of the total moment at 0.00 μB per cell. For the energy, the calculation gives -31.46 eV per atom.

6.
Compound: CsCdRu3
Source: Alexandria via LeMat-Bulk
Functional: meta-GGA SCAN
Structure: PBEsol geometry

a = 4.7950 Å, b = 4.7950 Å, c = 4.7950 Å
α = 90.00°, β = 90.00°, γ = 90.00°
Sites, in units of the cell vectors:
Cs: 0.0000 0.0000 0.0000
Cd: 0.5000 0.5000 0.5000
Ru: 0.0000 0.0000 0.5000
Ru: 0.0000 0.5000 0.0000
Ru: 0.5000 0.0000 0.0000

Results
The calculation puts the size of the total moment at 2.76 μB per cell. For the energy, the calculation gives -31.74 eV per atom.

- The highest size of the total moment belongs to which entry?
  CsCdRu3